
Enriching Student Life from Pre-K to 12 at Covenant Christian Academy

Think about your family’s traditions and how much you look forward to pizza night on Fridays and putting on matching pajamas every Christmas Eve. Those fun traditions build anticipation and a sense of security for you and your child.

It’s the same at Covenant Christian Academy, a private Christian school in the Dallas/Fort Worth area. We have traditions that start in our 3-year-old classroom and carry through to our seniors because we believe common experiences bring people together for more than just school spirit.

Traditions tell you who you are and where you belong.

The Role Parents Play

Traditions are so important to our school culture that we formed a Parent Council that works to ensure traditions are carried forward with excellence from year to year. Parents share their time, talent, and treasure so our elementary school students can experience Chocolate Fever Day, our high schoolers can put on a spring musical with amazing costumes, props and lights, and our school community can enjoy dozens of other meaningful experiences.

Elementary  School Traditions

At any age, common experiences draw people together. That’s why we always include our youngest students in traditions like Apple Day, Greek Olympics, Egyptian Feast, Cub Cheer, Field Day, Reading Buddies, Grandparents Day, Reformation Day, and STEM Night.

Plus, some of our schoolwide traditions — like Homecoming — build on one another. Your child may celebrate Homecoming differently in kindergarten than in 5th grade or 8th grade, but the tradition grows so that by the time your child is in high school, they are fully immersed and engaged in Homecoming.

Peter Rabbit

“Peter Rabbit” is a play that CCA’s first graders have been presenting for 30 years and counting. Students talk about being Benjamin Bunny, Mother Rabbit, a flower, or any other member of the cast long after they’ve graduated. (Many return to watch the play and can still sing along.)

Peter Rabbit cast on stage during performance

Medieval Feast

Medieval Feast happens at the end of 4th grade, just before the students move up to middle school. The School Headmaster and Elementary Principal dress up as king and queen to host a knighting ceremony for students. They choose a meaningful word — like loyal or compassionate — to describe each child’s character.

Adopt a Senior

Every classroom, from the 3-year-old class to the 4th-grade class, participates in the Adopt A Senior program. The seniors play with the younger students at recess, read books to them, and go on field trips. Friendships form as they support one another.

Middle School Traditions

As your child grows, traditions give them something to anticipate. They watch the 8th graders leave for Washington, D.C., and they want to pack their bags, too!

Don’t worry: In middle school, there’s plenty to do at every grade level, including class socials, day and overnight field trips, service projects, and special events that pair parents and children together.

Washington D.C. Trip

In 8th grade, students go to Washington, D.C., for a 5-day trip in the spring that’s packed with museums, nighttime walking tours, a visit to the White House, and dinner cruises on the Potomac. Before they go to D.C., students write letters of gratitude to veterans. Then, when they go to veterans’ memorials, students introduce themselves to veterans and give them their letters.

Retreat at Sky Ranch

Students attend a retreat at Sky Ranch in 5th grade. While learning, they have a camp-like experience where they get to spend time getting to know their classmates.

Reading Buddies

The Reading Buddies program pairs 1st graders with 6th graders. Younger students practice reading, while older students serve as mentors and offer encouragement.

Unrelated to this text: data records
<<<
1.
# MgV2O2F6 PBE with a Hubbard U relaxed
# - Distance to the lowest polymorph of the same formula: 0.107 eV/atom
# - Calculated formation energy: -2.9793 eV per atom
# - Spin magnetization: 4.00 μB per cell
# - Calculated total energy: -6.034 eV/atom
data_MgV2O2F6
_cell_length_a 9.758
_cell_length_b 6.218
_cell_length_c 5.140
_cell_angle_alpha 90.00
_cell_angle_beta 90.02
_cell_angle_gamma 90.00
_space_group_name_H-M_alt 'C 1 2 1'
_space_group_IT_number 5
loop_
_space_group_symop_operation_xyz
'x,y,z'
'-x,y,-z'
'x+1/2,y+1/2,z'
'-x+1/2,y+1/2,-z'
loop_
_atom_site_label
_atom_site_type_symbol
_atom_site_fract_x
_atom_site_fract_y
_atom_site_fract_z
_atom_site_occupancy
Mg1 Mg 0.000 0.000 0.000 1
V1 V 0.000 0.493 0.000 1
V2 V 0.000 0.737 0.500 1
O1 O 0.093 0.709 0.186 1
F1 F 0.104 0.956 0.670 1
F2 F 0.109 0.255 0.116 1
F3 F 0.111 0.505 0.680 1

2.
# MgV4O8F4 PBE with a Hubbard U relaxed
# - Distance to the lowest polymorph of the same formula: 0.069 eV/atom
# - Calculated formation energy: -2.5770 eV per atom
# - Spin magnetization: 2.00 μB per cell
# - Calculated total energy: -6.756 eV/atom
data_MgV4O8F4
_cell_length_a 5.073
_cell_length_b 5.630
_cell_length_c 8.697
_cell_angle_alpha 90.98
_cell_angle_beta 91.28
_cell_angle_gamma 91.59
_space_group_name_H-M_alt 'P 1'
_space_group_IT_number 1
loop_
_space_group_symop_operation_xyz
'x,y,z'
loop_
_atom_site_label
_atom_site_type_symbol
_atom_site_fract_x
_atom_site_fract_y
_atom_site_fract_z
_atom_site_occupancy
Mg1 Mg 0.000 0.000 0.000 1
V1 V 0.030 0.491 0.053 1
V2 V 0.225 0.010 0.314 1
V3 V 0.519 0.281 0.798 1
V4 V 0.725 0.772 0.561 1
O1 O 0.006 0.989 0.454 1
O2 O 0.081 0.227 0.183 1
O3 O 0.164 0.776 0.176 1
O4 O 0.281 0.475 0.929 1
O5 O 0.504 0.789 0.415 1
O6 O 0.563 0.506 0.670 1
O7 O 0.687 0.999 0.690 1
O8 O 0.774 0.271 0.950 1
F1 F 0.000 0.574 0.548 1
F2 F 0.258 0.033 0.841 1
F3 F 0.497 0.219 0.352 1
F4 F 0.779 0.724 0.985 1

3.
# MgV4O5F7 PBE with a Hubbard U relaxed
# - Distance to the lowest polymorph of the same formula: 0.002 eV/atom
# - Calculated formation energy: -2.8827 eV per atom
# - Spin magnetization: 5.00 μB per cell
# - Calculated total energy: -6.566 eV/atom
data_MgV4O5F7
_cell_length_a 5.211
_cell_length_b 5.416
_cell_length_c 8.984
_cell_angle_alpha 105.63
_cell_angle_beta 90.24
_cell_angle_gamma 117.53
_space_group_name_H-M_alt 'P 1'
_space_group_IT_number 1
loop_
_space_group_symop_operation_xyz
'x,y,z'
loop_
_atom_site_label
_atom_site_type_symbol
_atom_site_fract_x
_atom_site_fract_y
_atom_site_fract_z
_atom_site_occupancy
Mg1 Mg 0.000 0.000 0.000 1
V1 V 0.201 0.368 0.395 1
V2 V 0.410 0.880 0.178 1
V3 V 0.649 0.368 0.872 1
V4 V 0.971 0.891 0.637 1
O1 O 0.140 0.099 0.522 1
O2 O 0.243 0.656 0.283 1
O3 O 0.256 0.140 0.206 1
O4 O 0.257 0.138 0.838 1
O5 O 0.749 0.648 0.788 1
F1 F 0.123 0.666 0.982 1
F2 F 0.133 0.623 0.584 1
F3 F 0.621 0.599 0.482 1
F4 F 0.640 0.674 0.070 1
F5 F 0.717 0.158 0.017 1
F6 F 0.742 0.111 0.714 1
F7 F 0.769 0.161 0.322 1

4.
>>>

High School Traditions

<<<
# Sm2USe5 PBE relaxed
data_Sm2USe5
_cell_length_a 12.380
_cell_length_b 8.377
_cell_length_c 7.817
_cell_angle_alpha 90.00
_cell_angle_beta 90.00
_cell_angle_gamma 90.00
_symmetry_space_group_name_H-M 'P n m a'
_symmetry_Int_Tables_number 62
loop_
_symmetry_equiv_pos_as_xyz
'x,y,z'
'-x,-y,-z'
'-x+1/2,-y,z+1/2'
'x+1/2,y,-z+1/2'
'x+1/2,-y+1/2,-z+1/2'
'-x+1/2,y+1/2,z+1/2'
'-x,y+1/2,-z'
'x,-y+1/2,z'
loop_
_atom_site_label
_atom_site_fract_x
_atom_site_fract_y
_atom_site_fract_z
_atom_site_occupancy
Sm1 0.179 0.002 0.027 1
U1 0.009 0.750 0.574 1
Se1 0.001 0.250 0.042 1
Se2 0.095 0.045 0.668 1
Se3 0.187 0.750 0.331 1
Se4 0.216 0.250 0.306 1
# Total energy, eV for the cell shown: -204.20
# DFT formation energy, eV/atom: -1.900
# Volume, A^3/atom: 25.34
# Calculated density, g/cm3: 7.6

=====

# SmY4Se5 PBE relaxed
data_SmY4Se5
_cell_length_a 4.1255
_cell_length_b 4.1255
_cell_length_c 49.9514
_cell_angle_alpha 90.00
_cell_angle_beta 90.00
_cell_angle_gamma 120.00
_symmetry_space_group_name_H-M 'R -3 m'
_symmetry_Int_Tables_number 166
_symmetry_space_group_name_Hall '-R 3 2"'
loop_
_atom_site_label
_atom_site_fract_x
_atom_site_fract_y
_atom_site_fract_z
_atom_site_occupancy
Sm1 0.0000 0.0000 0.0000 1
Y1 0.0000 0.0000 0.2000 1
Y2 0.0000 0.0000 0.4002 1
Se1 0.0000 0.0000 0.1001 1
Se2 0.0000 0.0000 0.2987 1
Se3 0.0000 0.0000 0.5000 1
# Total energy, eV for the cell shown: -197.29
# DFT formation energy, eV/atom: -2.006
# Volume, A^3/atom: 24.54
# Calculated density, g/cm3: 6.1

=====

# Sr2SnSe5 PBE relaxed
data_Sr2SnSe5
_cell_length_a 12.255
_cell_length_b 16.784
_cell_length_c 8.744
_cell_angle_alpha 90.00
_cell_angle_beta 90.00
_cell_angle_gamma 90.00
_symmetry_space_group_name_H-M 'P 21 21 2'
_symmetry_Int_Tables_number 18
loop_
_symmetry_equiv_pos_as_xyz
'x,y,z'
'-x,-y,z'
'x+1/2,-y+1/2,-z'
'-x+1/2,y+1/2,-z'
loop_
_atom_site_label
_atom_site_fract_x
_atom_site_fract_y
_atom_site_fract_z
_atom_site_occupancy
Sr1 0.115 0.179 0.244 1
Sr2 0.117 0.179 0.741 1
Sr3 0.245 0.430 0.258 1
Sr4 0.247 0.430 0.760 1
Sn1 0.053 0.604 0.996 1
Sn2 0.092 0.674 0.516 1
Se1 0.000 0.000 0.152 1
Se2 0.000 0.000 0.657 1
Se3 0.000 0.500 0.222 1
Se4 0.000 0.500 0.776 1
Se5 0.058 0.890 0.987 1
Se6 0.062 0.892 0.486 1
Se7 0.119 0.325 0.506 1
Se8 0.129 0.738 0.783 1
Se9 0.131 0.318 0.006 1
Se10 0.133 0.751 0.269 1
Se11 0.241 0.073 0.986 1
Se12 0.247 0.570 0.513 1
# Total energy, eV for the cell shown: -273.98
# DFT formation energy, eV/atom: -1.467
# Volume, A^3/atom: 28.10
# Calculated density, g/cm3: 5.1

=====

# Sn4TeSe3 PBE relaxed
data_Sn4TeSe3
_cell_length_a 4.717
_cell_length_b 4.262
_cell_length_c 11.977
_cell_angle_alpha 90.00
_cell_angle_beta 90.48
_cell_angle_gamma 90.00
_symmetry_space_group_name_H-M 'P 1 m 1'
_symmetry_Int_Tables_number 6
loop_
_symmetry_equiv_pos_as_xyz
'x,y,z'
'x,-y,z'
loop_
_atom_site_label
_atom_site_fract_x
_atom_site_fract_y
_atom_site_fract_z
_atom_site_occupancy
Sn1 0.000 0.000 0.000 1
Sn2 0.204 0.500 0.756 1
Sn3 0.502 0.500 0.254 1
>>>

By the time your child reaches high school, they are surrounded by CCA traditions.

  • Like many classical schools, we have a House System that encourages students to practice leadership skills and work together. This all starts with a House Sorting Ceremony and includes each House competing throughout the year for house points and bragging rights.
  • We host Cotillion in 9th grade and  Spring Formal for students in grades 10 through 12. In 9th grade, we have dance and etiquette lessons, so students feel confident in a formal setting. Dance lessons continue for the spring formals. 
  • Every spring, our students present a full-scale musical. We secure a professional venue, and everyone pitches in to create costumes, build sets, apply stage makeup, and do anything else the show needs. 
  • In the middle of finals week, when a break is needed most, our girls play a Powder Puff football game. The boys coach and cheer, while the school grills hotdogs and hamburgers. (The boys have recently started playing a Powder Tuff volleyball game in the fall, too.)
  • At the end of the year, we host Senior Walk, where seniors start at the 3-year-old classroom and walk through all the grades. The walk ends at Senior Chapel.
  • The Senior Dinner and Robing Ceremony takes place the night before graduation. Each senior chooses someone to place a robe on them. They tell why they chose that person and what they mean to them.

== Next to the entry, the page also holds materials data ==
'''
[1]
VASP calculation (PBE) on crystalline PrP2H2CO6 at its relaxed geometry.

a b c (Å): 5.3939 8.2401 8.3182
angles (deg): 113.65 100.40 106.87
Closest atoms and distances in Å follow each position.
Sites, in units of the cell vectors:
Pr: 0.2713 0.7713 0.5425  8 O 2.40-2.61
Pr: 0.7287 0.2287 0.4575  8 O 2.40-2.61
P: 0.2408 0.3665 0.2223  3 O 1.52-1.56
P: 0.0185 0.1443 0.7777  3 O 1.52-1.56
P: 0.7592 0.6335 0.7777  3 O 1.52-1.56
P: 0.9815 0.8557 0.2223  3 O 1.52-1.56
H: 0.8405 0.3146 0.0000  1 C 1.10
H: 0.1595 0.6854 0.0000  1 C 1.10
H: 0.8321 0.0970 0.0000  1 C 1.10
H: 0.1679 0.9030 0.0000  1 C 1.10
C: 0.9620 0.2278 0.0000  2 H 1.10
C: 0.0380 0.7722 0.0000  2 H 1.10
O: 0.9004 0.6050 0.6266  1 P 1.56
O: 0.2738 0.9784 0.3734  1 P 1.56
O: 0.0996 0.3950 0.3734  1 P 1.56
O: 0.7262 0.0216 0.6266  1 P 1.56
O: 0.3862 0.5787 0.2608  1 P 1.56
O: 0.1254 0.3179 0.7392  1 P 1.56
O: 0.6138 0.4213 0.7392  1 P 1.56
O: 0.8746 0.6821 0.2608  1 P 1.56
O: 0.5688 0.7356 0.7670  1 P 1.52
O: 0.8018 0.9686 0.2330  1 P 1.52
O: 0.4312 0.2644 0.2330  1 P 1.52
O: 0.1982 0.0314 0.7670  1 P 1.52

The value obtained for the formation energy is -2.146 eV/atom. The total energy comes out at -6.91 eV/atom.

[2]
VASP calculation (PBE) on crystalline CaEu3 at its relaxed geometry.

a b c (Å): 7.9802 7.9802 6.4923
angles (deg): 90.00 90.00 120.00
Closest atoms and distances in Å follow each position.
Sites, in units of the cell vectors:
Ca: 0.3333 0.6667 0.7500  12 Eu 3.99
Ca: 0.6667 0.3333 0.2500  12 Eu 3.99
Eu: 0.1660 0.3321 0.2500  8 Eu 3.98-4.01, 4 Ca 3.99
Eu: 0.6679 0.8340 0.2500  8 Eu 3.98-4.01, 4 Ca 3.99
Eu: 0.1660 0.8340 0.2500  8 Eu 3.98-4.01, 4 Ca 3.99
Eu: 0.8340 0.6679 0.7500  8 Eu 3.98-4.01, 4 Ca 3.99
Eu: 0.3321 0.1660 0.7500  8 Eu 3.98-4.01, 4 Ca 3.99
Eu: 0.8340 0.1660 0.7500  8 Eu 3.98-4.01, 4 Ca 3.99

The value obtained for the formation energy is 0.010 eV/atom. The total energy comes out at -8.18 eV/atom.

[3]
VASP calculation (PBE) on crystalline CsH3O2 at its relaxed geometry.

a b c (Å): 4.6309 4.6309 4.4266
angles (deg): 90.00 90.00 122.76
Closest atoms and distances in Å follow each position.
Sites, in units of the cell vectors:
Cs: 0.0041 0.9959 0.0000  12 H 3.17-3.23, 12 O 3.40-3.52
H: 0.4450 0.5550 0.5000  1 O 0.99
H: 0.5473 0.0680 0.5000  1 O 1.04
H: 0.9320 0.4527 0.5000  1 O 1.04
O: 0.3235 0.6765 0.5000  1 H 0.99
O: 0.6670 0.3330 0.5000  2 H 1.04

The value obtained for the formation energy is -1.445 eV/atom. The calculation puts the largest piezoelectric modulus at 0.7 C/m². The total energy comes out at -4.71 eV/atom.

[4]
VASP calculation (PBE) on crystalline Li3BiS3 at its relaxed geometry.

a b c (Å): 6.8445 7.8202 10.4358
angles (deg): 90.00 90.00 90.00
Closest atoms and distances in Å follow each position.
Sites, in units of the cell vectors:
Li: 0.0400 0.0675 0.7711  3 S 2.51-2.58
Li: 0.3424 0.0942 0.3162  4 S 2.43-2.48
Li: 0.3766 0.2478 0.6196  4 S 2.44-2.55
Li: 0.8766 0.2522 0.1196  4 S 2.44-2.55
Li: 0.8424 0.4058 0.8162  4 S 2.43-2.48
'''

Schoolwide Traditions

From the Daddy-Daughter Dance and dress-up days to Homecoming and tailgating, we build one another up and celebrate traditions together.

When our seniors walk through the elementary classrooms for the final time, they see posters with their names on them. In the middle school hallway, they look into the faces of friends they’ve mentored. When they reach Senior Chapel, they are prayed for by juniors.

And long after they graduate, they’ll remember how it felt to belong.